You Infect [sic] My Mind
Although this post is called Dream #3, really it should be Dreams #3, with an s. This is because I don't have a specific dream in mind; rather, I just have a few things to say about dreams. Alternatively* (alternately?), I could have made this a Today post, because Today, being the second day of Spring quarter, we began discussing Freud in my social science class. In addition to the introduction, we read two lectures about dreams. Well, we were supposed to have read them--I only got around to reading the intro. However, I am going to try really hard to stay on top of readings this quarter.
*I've been using "alternatively" a lot lately. Would it be so nice if everything had an alternate solution?
So I actually wrote this several months ago, but kept it in a file ~/Desktop/moreblog. I should probably start adding .txt to the end of my text files. Here goes:
Dreams are taking over my body. They're like parasites. They control my bodily functions so that they can have the perfect environment to grow and multiply. They make me physically tired so that I'll sleep. I don't care about any of my actual responsibilities, all I want to do is go back to bed and take naps so I can dream. Like the other day--I woke up at 9, showered, and then took a little nap. The dream I was having before my shower, however, resumed, and when I woke up from that nap, I wanted it to keep going. So I took another nap, woke up from it, and continued this process until 1 in the afternoon. Every time I woke up, I wanted to see more of the dream, explore further the landscape of my mind. The question is, Do I care whether they're parasitic? Why not just give in and have another dream?
== Data records that have nothing to do with the page ==
=====
Record 1
Entry from the OMol25 dataset: C22H30N4O5S in the gas phase at a distorted geometry (ωB97M-V with the def2-TZVPD basis set).

Computed properties:
energy relative to the best compared isomer or geometry (same formula, charge and spin) = 204.42 kJ/mol
frontier orbital gap = 0.3332 hartree
HOMO energy = -8.4 eV
SMILES = COCCNC(=O)[C@H](c1ccc(C)cc1)N(CCOC)C(=O)CCC(=O)Nc1nccs1

```
! wB97M-V def2-TZVPD RIJCOSX def2/J DEFGRID3
* xyz 0 1
C -3.731 2.644 2.457
H -4.631 2.537 3.072
O -3.110 1.396 2.256
C -3.951 0.454 1.622
H -4.313 0.860 0.667
C -3.164 -0.834 1.380
N -2.334 -0.763 0.201
C -0.984 -0.764 0.254
O -0.364 -0.863 1.290
C -0.350 -0.695 -1.145
N 1.011 -0.190 -1.122
C 1.456 0.926 -1.757
O 2.642 1.196 -1.776
C 0.471 1.854 -2.459
H -0.333 1.326 -2.973
C -0.111 2.905 -1.497
C -1.140 2.304 -0.577
O -2.245 1.956 -0.962
N -0.826 2.134 0.740
C 0.345 2.329 1.415
N 1.412 2.912 0.993
C 2.385 2.923 1.934
C 2.059 2.348 3.118
S 0.446 1.739 3.070
H 2.658 2.244 3.999
H 3.326 3.378 1.688
H -1.583 1.729 1.306
H -0.621 3.665 -2.094
H 0.696 3.359 -0.927
H 1.062 2.384 -3.209
C 2.034 -1.044 -0.534
H 2.842 -1.179 -1.259
H 1.597 -2.012 -0.299
C 2.636 -0.450 0.738
O 3.628 -1.338 1.207
C 4.232 -0.883 2.386
H 4.979 -1.624 2.664
H 3.497 -0.782 3.196
H 4.719 0.090 2.235
H 1.851 -0.330 1.496
H 3.078 0.531 0.515
C -0.394 -2.054 -1.824
C -0.121 -2.126 -3.185
C -0.126 -3.341 -3.841
C -0.404 -4.519 -3.156
C -0.669 -4.443 -1.796
C -0.662 -3.228 -1.134
H -0.861 -3.200 -0.073
H -0.880 -5.347 -1.242
C -0.390 -5.834 -3.872
H -0.892 -6.602 -3.288
H -0.879 -5.751 -4.841
H 0.638 -6.153 -4.044
H 0.088 -3.378 -4.899
H 0.105 -1.221 -3.732
H -0.962 -0.011 -1.736
H -2.795 -0.529 -0.665
H -3.864 -1.670 1.277
H -2.499 -1.014 2.229
H -4.817 0.245 2.267
H -4.004 3.105 1.501
H -3.010 3.272 2.976
*
```

Atomic partial charges in e from the natural (NBO) method, atoms 1 to 5:
1. C -0.254
2. H 0.176
3. O -0.559
4. C -0.069
5. H 0.184

***

Record 2
Entry from the OMol25 dataset: a molecular structure, C22H30N4OS5Sn (ωB97M-V with the def2-TZVPD basis set).

Computed properties:
energy relative to the best compared isomer or geometry (same formula, charge and spin) = 150.36 kJ/mol
frontier orbital gap = 0.2607 hartree
HOMO energy = -13.1 eV

```
! wB97M-V def2-TZVPD RIJCOSX def2/J DEFGRID3
* xyz 2 1
Sn -1.174 0.747 -1.484
C -4.651 0.619 -2.798
C -4.536 2.117 -3.046
S -2.811 2.677 -3.129
C -2.793 4.103 -2.015
C -3.210 3.853 -0.574
S -2.264 2.554 0.281
C -3.567 1.520 1.000
C -4.566 0.903 0.034
S -3.823 -0.056 -1.331
H -4.216 0.054 -3.624
H -5.699 0.328 -2.723
H -5.054 2.703 -2.291
H -5.000 2.335 -4.006
H -3.428 4.878 -2.441
H -1.762 4.452 -2.063
H -4.264 3.598 -0.490
H -3.044 4.762 0.001
H -4.091 2.131 1.736
H -3.007 0.754 1.533
H -5.223 1.645 -0.417
H -5.189 0.206 0.592
C 4.291 -0.981 1.413
C 3.402 -1.128 0.238
N 2.143 -0.729 0.245
N 1.532 -0.134 1.295
C 0.264 -0.127 1.518
S -1.047 -0.837 0.596
S -0.143 0.707 3.038
C -0.706 -0.796 3.948
C 0.466 -1.679 4.276
C 0.678 -2.843 3.545
=====
== Here the page continues ==
I don't want to make this much longer, so I'll just list a few things:
-In high school, the few times I remembered my dreams, they were just shittier versions of real life. My friends would be mad at me, I'd keep making mistakes, and nothing would go right
-When discussing Freud today, a classmate mentioned something about how some people remember dreams a lot better after naps. That got me thinking, What if the nature of nap dreams is somehow different from the nature of dreams during extended rest?
-I want to make a video game where you have to enter character's dreams and get information from them. Kind of like Inception, I suppose, but it would require some amount of interpretation. Like, you'd see a bunch of butterflies and then would have to look up to know that butterflies indicate innocence or something
("You infect my mind," incidentally, is from Inception. Mal says it, and because I think she's a little foreign, she says 'infect' instead of the grammatically superior 'infected'.)